Bob Rosenblatt, Special Correspondent
Throughout 2015, the Academy is working with partners to create a platform for dialogue around the history and future of these two vital programs, including this weekly Covered blog series. Covered is written by Bob Rosenblatt, a Senior Fellow at the National Academy of Social Insurance and editor of the website HelpWithAging. Learn more about the Academy’s celebration of the 50th anniversary of Medicare and Medicaid.
Doc Says Medicare Bill Unfair to Mentally Ill
== Someone pasted records of molecules at this point ==
This record from the OMol25 dataset describes a structure of composition C25H42BrNOP2Pt at a distorted geometry. The level of theory is ωB97M-V/def2-TZVPD.

Each line ends with the Löwdin spin population.
Atoms and positions in Å:
N -4.81492 -0.87515 4.11552  0.067
C -3.73698 -0.24847 4.55798  -0.011
C -2.86105 0.44630 3.71349  0.064
C -3.19767 0.58335 2.35042  0.021
C -4.40297 -0.04369 1.89481  0.057
C -5.16146 -0.75957 2.82096  -0.012
C -2.31320 1.26598 1.44508  0.188
Pt -0.30074 0.07713 -0.64716  0.677
P 1.90967 0.55700 -0.79093  0.178
C -2.39867 1.18838 0.05850  0.126
C -1.81124 2.24891 -0.80434  0.042
C -2.06216 2.25349 -2.19384  0.053
C -1.17381 2.92761 -3.01759  -0.007
C -0.17468 3.63949 -2.36438  0.068
C -0.21095 4.03341 -1.02735  0.002
C -1.11914 3.33451 -0.21575  0.055
Br 1.45536 4.07376 -3.41086  0.012
H -1.41286 1.72974 1.87590  0.003
H -3.05651 0.45611 -0.43573  0.010
H -1.86479 0.73910 4.04123  0.002
H -4.66280 -0.11417 0.82173  0.002
H -3.49361 -0.32751 5.62345  -0.002
H -6.06191 -1.29103 2.51160  -0.002
H -2.89704 1.66787 -2.58805  0.002
H -1.25729 3.56503 0.84073  0.003
H -1.18429 2.84354 -4.10288  -0.001
H 0.46190 4.78133 -0.62602  -0.001
P -0.46270 -2.09193 0.10787  0.120
C 2.31763 2.04475 0.21347  0.029
C 3.25279 3.02849 -0.48634  0.009
H 2.70753 1.70973 1.18872  0.000
H 1.35930 2.53634 0.45204  0.005
H 3.48650 3.87886 0.17805  0.002
H 4.20657 2.58421 -0.79895  0.000
H 2.75151 3.45178 -1.36523  0.000
C 1.79013 0.88330 -2.58584  0.064
C 3.05055 0.88590 -3.44869  0.021
H 1.31578 1.87948 -2.65396  0.005
H 1.03660 0.19577 -3.02239  0.012
H 2.75413 1.17472 -4.46358  0.002
H 3.78760 1.61814 -3.10985  0.001
H 3.49182 -0.11104 -3.50277  0.001
C 3.22249 -0.66140 -0.47545  0.015
C 4.64359 -0.13519 -0.64124  0.007
H 3.04622 -1.52466 -1.12909  0.000
H 3.06972 -1.00832 0.55167  0.001
H 5.35444 -0.96135 -0.51224  0.001
H 4.82576 0.29276 -1.63785  0.000
H 4.88099 0.61679 0.12574  0.000
C 0.51880 -3.20812 1.21961  0.016
C 2.00180 -3.39111 0.93112  0.000
H 0.02179 -4.19419 1.18714  0.004
H 0.36511 -2.81334 2.23669  0.001
H 2.32393 -4.38437 1.27850  0.000
H 2.23561 -3.31988 -0.13620  0.000
H 2.59341 -2.65186 1.47962  0.000
C -0.34500 -2.89106 -1.56806  0.012
C -1.18464 -2.09970 -2.57721  0.010
H -0.66662 -3.93621 -1.44988  0.001
H 0.73065 -2.87449 -1.81683  0.000
H -0.76984 -2.26071 -3.58301  0.000
H -2.23879 -2.41839 -2.56480  0.000
H -1.15732 -0.99810 -2.36891  0.007
C -2.16509 -2.62519 0.60742  0.039
C -2.30618 -3.02074 2.08069  0.004
H -2.41246 -3.48185 -0.04677  0.005
H -2.85145 -1.79934 0.34754  0.004
H -3.35559 -3.26997 2.28263  0.001
H -1.69614 -3.89814 2.33055  0.000
H -2.01541 -2.19516 2.74008  0.001
O 1.12290 0.84212 3.04760  -0.001
H 1.79373 0.19000 3.36408  0.000
H 1.37161 1.66017 3.54778  0.000

Computed properties:
Orbital gap (alpha / beta) = 5.5563 / 5.3138 eV
Charge = +2
HOMO level (alpha / beta) = -0.47720 / -0.53482 hartree
2S+1 = 3
⟨S²⟩ = 2.03
May 22, 1965
== Next to the entry, the page also holds molecular data ==
-- begin --
# 1
The following is a quantum chemistry calculation of a structure of composition C22H25NO5S4Sb2V, from the Open Molecules 2025 dataset.

Last column: Mulliken spin population.
Atoms and positions in Å:
V: -0.72 1.15 0.78  2.077
O: -3.89 3.11 -0.95  0.009
C: -2.77 2.70 -0.41  -0.006
O: -2.58 1.55 -0.06  -0.017
C: -1.67 3.67 -0.22  0.055
C: -1.64 4.99 -0.47  0.069
C: -0.45 5.71 -0.13  0.126
C: 0.61 5.06 0.43  -0.036
C: 0.55 3.67 0.66  0.300
N: -0.62 3.01 0.33  0.196
C: 1.56 2.73 1.03  0.107
O: 2.79 3.07 1.42  0.037
O: 1.30 1.51 0.93  0.067
H: -4.52 2.36 -0.92  0.000
H: -2.50 5.48 -0.91  0.004
H: -0.39 6.77 -0.31  0.010
H: 1.51 5.61 0.68  0.003
H: 2.85 4.02 1.56  -0.002
C: -0.96 1.21 -3.63  0.010
Sb: -0.26 0.32 -1.81  -0.027
C: -1.53 -1.39 -1.95  0.018
C: 1.60 -0.53 -2.52  0.004
C: 1.58 -2.03 -2.50  0.001
C: 1.12 -2.71 -3.63  0.000
C: 1.01 -4.09 -3.66  0.000
C: 1.35 -4.82 -2.52  0.000
C: 1.82 -4.16 -1.40  0.000
C: 1.96 -2.77 -1.36  -0.002
C: 2.45 -2.12 -0.10  0.001
Sb: 0.78 -1.41 1.11  -0.022
C: 1.85 -0.94 2.87  0.014
C: 0.14 -3.33 1.73  -0.002
H: -1.08 0.42 -4.38  0.000
H: -0.25 1.95 -3.99  -0.001
H: -1.92 1.70 -3.46  -0.001
H: -1.46 -1.83 -2.94  -0.001
H: -2.55 -1.07 -1.75  0.001
H: -1.24 -2.12 -1.20  0.003
H: 2.39 -0.10 -1.90  0.002
H: 1.71 -0.15 -3.54  0.000
H: 0.85 -2.13 -4.51  0.000
H: 0.65 -4.59 -4.55  0.000
H: 1.26 -5.90 -2.52  0.000
H: 2.11 -4.73 -0.53  0.000
H: 3.10 -1.25 -0.28  0.000
H: 3.00 -2.84 0.51  0.000
H: 2.36 -1.83 3.24  0.000
H: 1.14 -0.58 3.61  -0.002
H: 2.57 -0.15 2.66  0.000
H: 1.02 -3.91 2.00  0.000
H: -0.41 -3.83 0.94  0.000
H: -0.51 -3.20 2.59  0.000
O: -2.45 -1.17 7.19  -0.001
C: -2.17 -0.78 6.09  -0.001
S: -1.38 0.77 5.76  0.001
C: -1.44 0.66 4.01  0.002
C: -2.01 -0.42 3.49  0.025
S: -2.17 -0.66 1.76  -0.022
S: -2.62 -1.63 4.60  0.000
S: -0.78 1.95 3.04  0.001

For the HOMO energy (spin up / spin down), the calculation gives -6.21 / -6.46 eV. Its LUMO energy (spin up / spin down) is -0.03344 / -0.03973 hartree. For the relative energy (zero: lowest compared OMol25 entry of this formula, charge and spin), the calculation gives 42.7 kJ/mol. Its spin multiplicity is 4. The calculation puts the maximum force at 0.067 Eh/bohr. The orbital gap (spin up / spin down) is 5.30 / 5.38 eV.

# 2
The following is a quantum chemistry calculation of a structure of composition C22H26BeN4O3, from the Open Molecules 2025 dataset.

Last column: natural (NBO) charge in e.
Atoms and positions in Å:
Be: 1.75 -0.77 0.10  1.678
O: -2.90 4.24 0.99  -0.721
C: -2.76 4.04 -0.41  -0.120
C: -1.61 3.10 -0.60  0.212
C: -0.68 3.32 -1.54  -0.337
C: 0.25 2.25 -1.77  0.234
N: 0.75 1.56 -0.79  -0.182
C: -0.46 -0.35 -1.08  0.061
C: -1.68 0.45 -0.34  -0.229
C: -0.31 -1.83 -0.78  0.228
C: -1.31 -2.76 -1.01  -0.200
C: -1.04 -4.10 -0.79  0.071
C: -2.09 -5.15 -1.03  -0.103
O: -3.29 -4.51 -1.40  -0.717
C: 0.23 -4.47 -0.35  -0.234
C: 1.17 -3.49 -0.13  0.065
N: 0.91 -2.19 -0.34  -0.678
H: -3.65 4.82 1.16  0.499
H: -2.57 4.98 -0.94  0.198
H: -3.66 3.58 -0.84  0.196
-- stop --
By Bob Rosenblatt, Special Correspondent
Washington, DC – The health care legislation offering hospital benefits for people over the age of 65 won’t pay for treatment in mental hospitals, Pennsylvania’s Commissioner of Mental Health, William Camp, MD, told a Senate Finance Committee hearing on May 17. This is a case of “severe discrimination,” he said.
The Senate Finance Committee is hearing of late from a number of stakeholder groups who seek to expand the proposed program’s coverage. The proposed law, called Medicare, would create a new benefit under the Social Security system, providing up to 60 days of care in a hospital during a spell of illness. The inpatient benefit, which would be funded through payroll taxes paid by workers and their employers, provides coverage to all persons over the age of 65. But the bill as drafted specifically excludes coverage for patients in mental hospitals.
The only coverage for care in mental hospitals would be available under a voluntary insurance program, called Part B, which would cost $6 a month, with $3 paid by the individual and $3 by the federal government. Mental hospital benefits would be available to those who enrolled in the voluntary insurance program if the facilities have been approved by the Joint Commission on Accreditation of Hospitals.
This policy could make access to mental health benefits difficult for many older people.
There are about 275 public mental hospitals with about 500,000 beds, according to Dr. Camp. Only 85 of those facilities with a total of just over 200,000 beds are accredited by the Joint Commission on Accreditation of Hospitals.
Drafters of the House legislation did not offer a reason for this limitation in coverage, either in the committee report or in debate on the House floor, according to Camp, the Pennsylvania Commissioner of Mental Health. Speaking on behalf of directors of state programs for the mentally ill to members of the Senate Finance Committee, Dr. Camp sought to remove the provision of the bill that excludes “any institution which is for the care and treatment of mental diseases” from coverage under Part A of the Medicare program.
There was no explanation from the Ways and Means Committee or the Johnson Administration about the decision to exclude mental hospitals from Part A of the program. But Sen. Eugene McCarthy (D-MN), suggested two possible reasons: the cost of caring for people who may be in mental hospitals for indefinite stays, and “the fact … that 27 states do not have an accredited mental hospital.”
Patients over age 65 in mental hospitals are not likely to have long, costly stays, according to Camp. “It is not true – despite long-held notions – that the mentally ill aged cannot be quickly returned to family and community,” Camp said. “They can.” Camp explained further: “It is not true that in our State mental hospitals today a newly admitted elderly person is most likely to spend the rest of his life in that hospital. It is a fact that when the dollars and personnel are available and the aged mentally ill are submitted to intensive treatment they respond in almost the same proportions as persons of other ages.”
Many of the patients over 65 in mental hospitals aren’t actually mentally ill, Camp said. “Frequently, they are persons who need medical attention, but not necessarily in a mental hospital. These persons can be treated or cared for in specialized geriatric facilities.”
In statement, Albert Glass, MD, Director of the Oklahoma Department of Mental Health, told the Senate panel, doctors can send these patients home within three months if they do the work of addressing malnutrition, anemia, cardiac decompensation, diabetes, cataracts and other diseases related to aging are treated and stabilized.
The lack of mental health benefits under Part A is the negative element in a piece of legislation that is otherwise welcomed by the mental health community, Camp said. He cited the inclusion of mental hospitals benefits as part of the Kerr-Mills Act that provides funds to states to pay for the health care bills of poor people over the age of 65. This landmark provision was included in the bill after “an often lonely fight” by two Senators, Democrat Russell Long (D-LA) and Republican House Frank Carlson (R-KA), who “have proven to be genuine friends of sufferers from mental illness,” Camp told the committee.
Despite appeal of Camp and others, the Senate is unlikely to significantly expand the bill. But if the Medicare proposal does becomes law, it will create universal access to hospital care for those over the age of 65 and that will be critical for many seniors who are now in mental hospitals because they can’t afford coverage elsewhere for age-related ailments. Many of these patients may be able to transfer to regular, accredited hospitals where the new Medicare coverage would pay their bills.
► Directory of COVERED posts
► Read the next post in the COVERED series, “Private Insurance Plans Will Run New Federal Health Program for Seniors”
► Learn more about the Academy’s celebration of the 50th anniversary of the enactment of Medicare and Medicaid